[Given]
Entry 1:
Here is C16H27KO6S5 as an isolated structure from the OMol25 dataset. Energies are from ωB97M-V/def2-TZVPD.

CARTESIAN COORDINATES (ANGSTROEM)
K 0.7257 0.0334 0.3503
C 0.4258 -3.0497 -0.6188
C -0.3807 -2.1048 -1.5102
O 0.2958 -0.8911 -1.8444
C 1.3480 -0.9465 -2.7888
C 2.7250 -0.8868 -2.1298
O 2.8552 0.1580 -1.1598
C 2.9982 1.4909 -1.6514
C 1.8055 2.3673 -1.2841
O 1.4447 2.2862 0.0950
C 2.3182 2.8705 1.0495
C 2.9458 1.7989 1.9519
O 2.0429 0.7586 2.3267
C 0.9395 1.1607 3.1430
C 0.1469 -0.0900 3.4877
O -0.4999 -0.5405 2.3048
C -0.8066 -1.9339 2.2307
C 0.3991 -2.7752 1.8236
O 0.9525 -2.4134 0.5486
H 1.2776 -3.4408 -1.1777
H -0.2093 -3.8988 -0.3505
H -1.2934 -1.7830 -1.0014
H -0.6585 -2.6509 -2.4150
H 1.2205 -0.0843 -3.4467
H 1.2892 -1.8492 -3.4065
H 3.4793 -0.7879 -2.9137
H 2.9202 -1.8066 -1.5769
H 3.1124 1.5081 -2.7403
H 3.9101 1.8987 -1.2158
H 0.9153 2.0447 -1.8311
H 2.0301 3.3996 -1.5651
H 1.7300 3.5623 1.6505
H 3.1188 3.4417 0.5689
H 3.3569 2.2908 2.8378
H 3.7562 1.2911 1.4277
H 0.2846 1.8645 2.6044
H 1.3000 1.6300 4.0624
H -0.5926 0.1419 4.2563
H 0.8375 -0.8479 3.8791
H -1.5977 -2.0255 1.4875
H -1.1974 -2.3021 3.1843
H 0.1202 -3.8318 1.8390
H 1.2069 -2.6314 2.5421
C -3.9213 1.4090 -3.2695
S -4.8296 2.2701 -1.9666
C -4.7578 1.0712 -0.6976
C -3.6410 0.6322 -0.0597
S -1.9656 1.0281 -0.2760
S -4.0053 -0.5845 1.1482
C -5.7152 -0.6888 1.0047
S -6.6564 -1.7033 1.9100
S -6.2850 0.3617 -0.2150
H -3.8209 2.1144 -4.0985
H -4.4669 0.5285 -3.6075
H -2.9334 1.1356 -2.8966

Summary:
LUMO energy (eV): -0.15
Multiplicity: 1
Frontier orbital gap (eV): 6.1
HOMO energy (eV): -6.212
Energy (eV): -99814.038

***

Entry 2:
Here is a 2-piece molecular cluster, C16H27N2O5 overall from the OMol25 dataset. Energies are from ωB97M-V/def2-TZVPD.

CARTESIAN COORDINATES (ANGSTROEM)
C 4.0528 -0.5011 -1.5948
C 3.7620 0.6758 -0.4776
C 3.7112 2.1976 -1.0959
O 2.4705 2.9366 -0.8165
C 1.4187 2.6557 -1.8148
N 0.2836 1.7999 -1.2034
N 0.4641 1.5670 0.1044
C -0.6139 0.7131 0.5996
C -1.8744 0.0685 -0.1410
C -2.9197 -0.9093 0.6628
O -3.3857 -2.0709 -0.1134
C -2.2749 -2.8159 -0.7270
C -1.0572 -3.2132 0.3063
C -2.0149 0.4672 -1.7101
C -0.7698 1.3959 -2.1190
C -0.7097 1.9109 -3.6972
C -1.1635 3.4723 -3.9066
O -2.0212 4.1322 -3.1113
O -0.5958 4.1610 -5.1134
H 5.0939 -0.2668 -2.0751
H 4.0365 -1.5281 -0.9935
H 3.1601 -0.5199 -2.3510
H 4.6657 0.6110 0.2989
H 2.8078 0.3510 0.1168
H 4.0198 2.1488 -2.2235
H 4.5835 2.8009 -0.5473
H 1.9049 2.1522 -2.7525
H 0.9591 3.7143 -2.1079
H -0.5300 0.4529 1.7638
H -2.4512 -1.2213 1.7128
H -3.8650 -0.2401 0.9362
H -2.7379 -3.8520 -1.0958
H -1.8200 -2.3159 -1.6908
H -0.4019 -4.0283 -0.2256
H -0.3578 -2.2502 0.3980
H -1.4156 -3.5019 1.3860
H -2.8632 0.0916 -2.4150
H -1.4874 1.2499 -4.3146
H 0.3397 1.7012 -4.2038
H 0.2469 3.6577 -5.3974
C -0.3066 -0.7408 5.0395
C -1.4003 -1.7066 4.6693
O -2.0742 -1.5490 3.6526
C -1.6373 -2.8728 5.5911
H -0.2495 0.0498 4.2837
H -0.5265 -0.2838 6.0076
H 0.6534 -1.2619 5.0738
H -1.9166 -2.5108 6.5839
H -0.7366 -3.4889 5.6500
H -2.4559 -3.4852 5.1984

Summary:
LUMO energy (eV): -4.85
Total charge: +1
Multiplicity: 1
Frontier orbital gap (eV): 7.6
HOMO energy (eV): -12.473
Energy (eV): -30230.366

***

Entry 3:
Here is C16H27NO in the gas phase from the OMol25 dataset. Energies are from ωB97M-V/def2-TZVPD.

CARTESIAN COORDINATES (ANGSTROEM)
C 3.5603 2.6931 0.0472
C 2.8288 1.8894 1.1159
C 1.3651 1.6194 0.7640
C 1.1391 0.6555 -0.4018
C 1.5951 -0.7883 -0.1192
C 2.9212 -1.1151 -0.8176
C 3.5935 -2.3796 -0.2931
C 0.4940 -1.7653 -0.5509
N -0.7399 -1.4434 0.1322
C -1.8831 -2.2241 -0.2726
C -3.1360 -1.6980 0.4479
O -2.9643 -1.9485 1.8289
C -3.3155 -0.2337 0.1257
C -2.6888 0.7404 0.8905
C -2.8140 2.0777 0.5595
C -3.5686 2.4545 -0.5377
C -4.1994 1.4877 -1.3026
C -4.0726 0.1504 -0.9729
H 3.5949 2.1532 -0.8956
H 4.5826 2.8972 0.3589
H 3.0578 3.6430 -0.1229
H 2.8603 2.4496 2.0543
H 3.3477 0.9445 1.2846
H 0.8842 2.5710 0.5232
H 0.8611 1.2139 1.6444
H 1.6358 1.0307 -1.2973
H 0.0663 0.6367 -0.5999
H 1.7352 -0.9053 0.9612
[What to do]
Reproduce the whole of the lines further up character by character.
[Completed]
Entry 1:
Here is C16H27KO6S5 as an isolated structure from the OMol25 dataset. Energies are from ωB97M-V/def2-TZVPD.

CARTESIAN COORDINATES (ANGSTROEM)
K 0.7257 0.0334 0.3503
C 0.4258 -3.0497 -0.6188
C -0.3807 -2.1048 -1.5102
O 0.2958 -0.8911 -1.8444
C 1.3480 -0.9465 -2.7888
C 2.7250 -0.8868 -2.1298
O 2.8552 0.1580 -1.1598
C 2.9982 1.4909 -1.6514
C 1.8055 2.3673 -1.2841
O 1.4447 2.2862 0.0950
C 2.3182 2.8705 1.0495
C 2.9458 1.7989 1.9519
O 2.0429 0.7586 2.3267
C 0.9395 1.1607 3.1430
C 0.1469 -0.0900 3.4877
O -0.4999 -0.5405 2.3048
C -0.8066 -1.9339 2.2307
C 0.3991 -2.7752 1.8236
O 0.9525 -2.4134 0.5486
H 1.2776 -3.4408 -1.1777
H -0.2093 -3.8988 -0.3505
H -1.2934 -1.7830 -1.0014
H -0.6585 -2.6509 -2.4150
H 1.2205 -0.0843 -3.4467
H 1.2892 -1.8492 -3.4065
H 3.4793 -0.7879 -2.9137
H 2.9202 -1.8066 -1.5769
H 3.1124 1.5081 -2.7403
H 3.9101 1.8987 -1.2158
H 0.9153 2.0447 -1.8311
H 2.0301 3.3996 -1.5651
H 1.7300 3.5623 1.6505
H 3.1188 3.4417 0.5689
H 3.3569 2.2908 2.8378
H 3.7562 1.2911 1.4277
H 0.2846 1.8645 2.6044
H 1.3000 1.6300 4.0624
H -0.5926 0.1419 4.2563
H 0.8375 -0.8479 3.8791
H -1.5977 -2.0255 1.4875
H -1.1974 -2.3021 3.1843
H 0.1202 -3.8318 1.8390
H 1.2069 -2.6314 2.5421
C -3.9213 1.4090 -3.2695
S -4.8296 2.2701 -1.9666
C -4.7578 1.0712 -0.6976
C -3.6410 0.6322 -0.0597
S -1.9656 1.0281 -0.2760
S -4.0053 -0.5845 1.1482
C -5.7152 -0.6888 1.0047
S -6.6564 -1.7033 1.9100
S -6.2850 0.3617 -0.2150
H -3.8209 2.1144 -4.0985
H -4.4669 0.5285 -3.6075
H -2.9334 1.1356 -2.8966

Summary:
LUMO energy (eV): -0.15
Multiplicity: 1
Frontier orbital gap (eV): 6.1
HOMO energy (eV): -6.212
Energy (eV): -99814.038

***

Entry 2:
Here is a 2-piece molecular cluster, C16H27N2O5 overall from the OMol25 dataset. Energies are from ωB97M-V/def2-TZVPD.

CARTESIAN COORDINATES (ANGSTROEM)
C 4.0528 -0.5011 -1.5948
C 3.7620 0.6758 -0.4776
C 3.7112 2.1976 -1.0959
O 2.4705 2.9366 -0.8165
C 1.4187 2.6557 -1.8148
N 0.2836 1.7999 -1.2034
N 0.4641 1.5670 0.1044
C -0.6139 0.7131 0.5996
C -1.8744 0.0685 -0.1410
C -2.9197 -0.9093 0.6628
O -3.3857 -2.0709 -0.1134
C -2.2749 -2.8159 -0.7270
C -1.0572 -3.2132 0.3063
C -2.0149 0.4672 -1.7101
C -0.7698 1.3959 -2.1190
C -0.7097 1.9109 -3.6972
C -1.1635 3.4723 -3.9066
O -2.0212 4.1322 -3.1113
O -0.5958 4.1610 -5.1134
H 5.0939 -0.2668 -2.0751
H 4.0365 -1.5281 -0.9935
H 3.1601 -0.5199 -2.3510
H 4.6657 0.6110 0.2989
H 2.8078 0.3510 0.1168
H 4.0198 2.1488 -2.2235
H 4.5835 2.8009 -0.5473
H 1.9049 2.1522 -2.7525
H 0.9591 3.7143 -2.1079
H -0.5300 0.4529 1.7638
H -2.4512 -1.2213 1.7128
H -3.8650 -0.2401 0.9362
H -2.7379 -3.8520 -1.0958
H -1.8200 -2.3159 -1.6908
H -0.4019 -4.0283 -0.2256
H -0.3578 -2.2502 0.3980
H -1.4156 -3.5019 1.3860
H -2.8632 0.0916 -2.4150
H -1.4874 1.2499 -4.3146
H 0.3397 1.7012 -4.2038
H 0.2469 3.6577 -5.3974
C -0.3066 -0.7408 5.0395
C -1.4003 -1.7066 4.6693
O -2.0742 -1.5490 3.6526
C -1.6373 -2.8728 5.5911
H -0.2495 0.0498 4.2837
H -0.5265 -0.2838 6.0076
H 0.6534 -1.2619 5.0738
H -1.9166 -2.5108 6.5839
H -0.7366 -3.4889 5.6500
H -2.4559 -3.4852 5.1984

Summary:
LUMO energy (eV): -4.85
Total charge: +1
Multiplicity: 1
Frontier orbital gap (eV): 7.6
HOMO energy (eV): -12.473
Energy (eV): -30230.366

***

Entry 3:
Here is C16H27NO in the gas phase from the OMol25 dataset. Energies are from ωB97M-V/def2-TZVPD.

CARTESIAN COORDINATES (ANGSTROEM)
C 3.5603 2.6931 0.0472
C 2.8288 1.8894 1.1159
C 1.3651 1.6194 0.7640
C 1.1391 0.6555 -0.4018
C 1.5951 -0.7883 -0.1192
C 2.9212 -1.1151 -0.8176
C 3.5935 -2.3796 -0.2931
C 0.4940 -1.7653 -0.5509
N -0.7399 -1.4434 0.1322
C -1.8831 -2.2241 -0.2726
C -3.1360 -1.6980 0.4479
O -2.9643 -1.9485 1.8289
C -3.3155 -0.2337 0.1257
C -2.6888 0.7404 0.8905
C -2.8140 2.0777 0.5595
C -3.5686 2.4545 -0.5377
C -4.1994 1.4877 -1.3026
C -4.0726 0.1504 -0.9729
H 3.5949 2.1532 -0.8956
H 4.5826 2.8972 0.3589
H 3.0578 3.6430 -0.1229
H 2.8603 2.4496 2.0543
H 3.3477 0.9445 1.2846
H 0.8842 2.5710 0.5232
H 0.8611 1.2139 1.6444
H 1.6358 1.0307 -1.2973
H 0.0663 0.6367 -0.5999
H 1.7352 -0.9053 0.9612